2018 Health Care Achievement Award Goes to Dr. Christopher Brown

Christopher Brown, MD, received an award from the Rochester Business Journal for being an innovative healthcare provider in the Rochester area.

Feb. 16, 2018

Christopher Brown, MD

Christopher Brown, MD, is the medical director of Rochester Regional Health Sports Medicine and currently practices sports medicine at Rochester Regional Health Finger Lakes Bone and Joint Center. The Rochester Business Journal created this achievement award program "to recognize excellence, promote innovation and honor the efforts of organizations and individuals making a significant impact on the quality of health care in our area."

Dr. Brown was awarded this honor in the category of Healthcare Innovation, which recognizes medical care providers responsible for developments of new procedures, devices, or treatments that can save lives or improve the quality of life for a large number of people.

MACI: The Game-Changing Alternative

In August 2017, Dr. Brown became the first surgeon in upstate New York to implement a new knee cartilage treatment that uses the patient's own cartilage cells to repair the damage. Surgery was conducted at Newark-Wayne Community Hospital.

This procedure allows the patient to be part of their own pain solution by using their own healthy cells to help repair damaged ones. This could help dozens of people who live in constant pain because of bone-on-bone friction, due to the loss of cushion that cartilage provides.

The MACI procedure is used to treat defects in the cartilage that cover the surface of the joints, so that movement is smooth and pain-free.

Innovation on the Operating Table

_Between two parts of the entry: records of crystals_
____________
94
Lattice="5.585 5.893 -6.184 -8.951 -3.713 -3.201 -6.915 12.107 5.291" Properties=species:S:1:pos:R:3 comment="BaNb7P6O33 PBE-GGA optimized geometry" dft_energy_ev_per_atom=-8.20 crystal_system=trigonal e_form_ev_per_atom=-2.972 pbc="T T T"
Ba -5.186 9.080 3.968
Ba -1.729 3.027 1.323
Nb -6.818 7.338 0.464
Nb -0.570 3.129 -2.755
Nb -5.834 2.515 -2.873
Nb -1.454 4.121 -6.179
Nb -0.210 8.455 -3.755
Nb -8.827 10.165 2.085
Nb -8.343 7.906 -2.830
Nb 1.701 5.272 -4.690
Nb -9.711 11.157 -1.340
Nb -4.446 11.771 -1.221
Nb -1.938 6.379 -1.264
Nb -10.070 5.831 -0.339
Nb -3.463 6.947 -4.558
Nb -11.982 9.014 0.596
P -5.930 12.064 1.888
P -3.068 0.984 -1.473
P -3.020 14.888 -0.771
P -4.351 2.222 -5.982
P -4.711 4.531 -0.298
P -7.213 13.302 -2.621
P -3.664 8.928 0.586
P -5.570 9.755 -3.796
P -6.617 5.357 -4.680
P -1.282 11.687 -2.613
P -8.998 2.599 -1.481
P -7.261 -0.602 -3.323
O 0.323 4.748 -5.988
O -4.587 2.411 -4.445
O -5.155 8.558 0.765
O -5.713 2.321 -6.709
O -5.230 10.325 -2.377
O 2.569 6.669 -6.129
O -4.568 11.965 2.615
O -2.844 15.095 -2.294
O -7.686 14.556 -1.896
O -4.901 3.407 0.747
O 1.743 8.922 -2.896
O -9.440 3.968 -0.977
O -9.047 9.458 -1.942
O -5.694 11.875 0.351
O -12.024 5.364 -1.198
O -7.060 9.355 -3.843
O -6.799 10.905 2.419
O -3.221 4.931 -0.251
O -0.804 7.676 -2.053
O -3.574 10.302 -0.162
O 0.283 3.011 -0.747
O -12.850 7.617 2.035
O -3.482 3.381 -6.513
O -5.380 10.879 -4.841
O -5.051 3.961 -1.717
O -7.369 6.427 -3.897
O -3.825 7.390 -6.666
O -3.598 13.454 -0.522
O -11.323 10.251 -0.678
O -2.595 -0.270 -2.198
O -3.249 6.568 -2.714
O -5.746 12.957 -2.193
O -9.477 6.610 -2.041
O -7.032 7.717 -1.380
O -9.668 2.247 -2.830
O -10.893 7.511 0.101
O -10.604 9.538 1.894
O -6.333 -1.650 -3.926
O -8.936 11.149 0.389
O -2.912 7.859 -0.197
O -7.935 8.738 1.159
O -0.613 12.039 -1.264
O -10.564 11.275 -3.347
O -1.345 3.137 -4.483
O -7.437 -0.809 -1.800
O -1.902 8.139 -4.547
O -6.683 0.832 -3.572
O -6.608 13.403 2.151
O -6.707 3.984 -3.932
O -5.596 5.734 0.007
O -4.685 8.552 -4.101
O -3.673 0.882 -6.245
O -8.379 6.147 0.453
O -7.444 2.574 -1.669
O 0.612 6.775 -4.195
O -8.119 12.088 -2.309
O -5.126 5.728 -4.859
O -2.837 11.712 -2.425
O -2.162 2.198 -1.785
O -2.345 5.548 -5.253
O 1.043 4.035 -3.416
O -3.948 15.936 -0.168
O -4.535 1.329 -1.901
O -1.233 4.828 -2.152
O -0.841 10.318 -3.117
O -6.456 6.896 2.572

50
Lattice="-1.600 2.308 -8.340 -4.961 6.179 7.247 8.593 4.872 4.323" Properties=species:S:1:pos:R:3 comment="Ba10Pr5NbSn4O30 PBE-GGA optimized geometry" dft_energy_ev_per_atom=-6.86 crystal_system=triclinic e_form_ev_per_atom=-2.916 pbc="T T T"
Ba -0.401 0.581 -2.077
Ba 3.547 8.340 -0.716
Ba 2.433 12.777 5.307
Ba 0.458 8.928 4.639
Ba 4.343 7.181 3.417
Ba 2.365 3.291 2.748
Ba -0.333 10.068 0.482
Ba -2.311 6.178 -0.188
Ba 1.574 4.431 -1.409
Ba -1.515 5.018 3.945
Pr -1.745 3.957 -3.232
Pr 3.777 9.402 6.461
Pr 4.084 6.114 -3.756
Pr 1.016 6.679 1.615
Pr -2.051 7.245 6.985
Nb 1.816 5.525 5.785
Sn -0.947 2.802 0.939
Sn 2.980 10.557 2.291
Sn 4.881 4.955 0.417
____________

Besides his MACI procedures, Dr. Brown is recognized as an innovative surgeon who is always willing to adapt and learn new cutting-edge techniques that benefit his patients. He has employed several advanced procedures for shoulder and knee repair including superior capsule reconstruction (a special procedure for irreparable rotator cuff tears where he uses a graft to replace the rotator cuff); allograft osteochondral transplant (for which he procures a size-matched cadaverous donor and then transplants a fresh graft within 21 days); and autograft osteochondral transplant (uses small plugs of bone and cartilage from patient's knee and moves it to the problem area).

Finger Lakes Bone and Joint Center is proud to have an innovative physician like Dr. Brown serving our community and region! Congratulations again Dr. Brown, for winning the 2018 Health Care Achievement Award!